Release notes: have, look, large, late

By Edmund Weiner, Deputy Chief Editor OED

The history of many words consists of a straightforward series of meanings, in which each meaning represents a greater or smaller modification of the one before. In other words, there are clearly several such series, with each new series representing a modification of the first. This is a very tree-like structure, and so the OED has always referred to these distinct series as branches.

In this quarter’s release, there are several words which play a big part in the English language, and which are characterized by an interesting branch structure.

What comes next are quantum chemistry results, not part of the page
w:
The molecule C11H17P. Source: the OMol25 dataset; level of theory: ωB97M-V/def2-TZVPD.

Last columns: bonded neighbours and bond lengths (Å).
CARTESIAN COORDINATES (ANGSTROEM)
1 C 6.8748 0.0958 -0.1126  C2 1.470, H13 1.054, H14 1.094, H15 1.082
2 C 5.4056 0.1474 -0.0893  C1 1.470, C3 1.221
3 C 4.1960 0.0030 -0.1693  C2 1.221, C4 1.446
4 C 2.8134 0.4194 -0.0976  C3 1.446, P5 1.635, H16 1.107
5 P 1.4637 -0.4081 -0.5040  C4 1.635, C6 1.737
6 C 0.3194 0.8196 -0.0569  P5 1.737, C7 1.374, H17 1.138
7 C -1.0313 0.7054 0.1668  C6 1.374, C8 1.535, C9 1.516
8 C -1.8270 2.0186 0.1747  C7 1.535, H18 1.104, H19 1.116, H20 1.113
9 C -1.8516 -0.5538 0.3652  C7 1.516, C10 1.476, C11 1.584, C12 1.554
10 C -1.0424 -1.7022 0.8180  C9 1.476, H21 1.142, H22 1.136, H23 1.084
11 C -2.8275 -0.3094 1.5886  C9 1.584, H24 1.095, H25 1.155, H26 1.028
12 C -2.6543 -0.7253 -0.9541  C9 1.554, H27 1.047, H28 1.080, H29 1.135
13 H 7.2242 0.3256 0.8545  C1 1.054
14 H 7.2751 0.8442 -0.8031  C1 1.094
15 H 7.2753 -0.8594 -0.4267  C1 1.082
16 H 2.6582 1.2811 0.5806  C4 1.107
17 H 0.6900 1.8869 0.0771  C6 1.138
18 H -1.1488 2.7771 -0.2535  C8 1.104
19 H -2.0243 2.3034 1.2357  C8 1.116
20 H -2.7476 1.8678 -0.4326  C8 1.113
21 H -0.2652 -1.5299 1.6365  C10 1.142
22 H -0.4188 -2.2546 0.0451  C10 1.136
23 H -1.7447 -2.4922 1.0599  C10 1.084
24 H -3.2551 0.6968 1.5302  C11 1.095
25 H -2.2949 -0.1425 2.6001  C11 1.155
26 H -3.5638 -1.0261 1.6130  C11 1.028
27 H -2.8940 -1.7123 -1.2076  C12 1.047
28 H -2.0708 -0.1871 -1.6870  C12 1.080
29 H -3.5801 -0.0851 -0.8054  C12 1.135

The spin multiplicity is 1. The value obtained for the orbital gap is 7.845 eV. As for the total charge: 0. As for the SMILES: CC#C/C=P/C=C(/C)C(C)(C)C.

Partial charges, Löwdin, in e: -0.10, -0.08, -0.13, -0.47, 0.96, -0.36, -0.32, -0.06, -0.57, -0.14, -0.05, -0.01, 0.05, 0.08, 0.08, 0.06, 0.09, 0.08, 0.09, 0.09, 0.11, 0.06, 0.08, 0.05, 0.12, 0.05, 0.06, 0.08, 0.10

x:
A cluster of 2 separate species, C11H17P in total. Source: the OMol25 dataset; level of theory: ωB97M-V/def2-TZVPD.

Last columns: bonded neighbours and bond lengths (Å).
CARTESIAN COORDINATES (ANGSTROEM)
1 C -5.0034 -1.7375 1.5808  C2 1.203, H13 1.070
2 C -4.3494 -0.7863 1.2428  C1 1.203
3 C -0.0680 1.0822 0.4483  C5 1.346, P12 1.931, H14 1.055
4 C -2.8467 1.0448 -0.0763  C6 1.476, P12 1.594
5 C 1.1827 0.6993 0.1311  C3 1.346, C7 1.488, C11 1.512
6 C -3.9146 1.6961 -0.8591  C4 1.476, H15 1.136, H16 1.132, H17 1.126
7 C 2.1852 1.7980 0.1876  C5 1.488, H18 1.171, H19 1.137, H20 1.095
8 C 2.0894 -1.2755 1.1681  C11 1.568, H21 1.090, H22 1.152, H23 1.145
9 C 0.7411 -1.6482 -0.9316  C11 1.521, H24 1.131, H25 1.177, H26 1.114
10 C 3.0129 -0.5782 -1.1419  C11 1.621, H27 1.114, H28 1.080, H29 1.076
11 C 1.6804 -0.6832 -0.2254  C5 1.512, C8 1.568, C9 1.521, C10 1.621
12 P -1.7201 0.0852 0.5150  C3 1.931, C4 1.594
13 H -5.6680 -2.0692 2.3515  C1 1.070
14 H -0.2630 2.0799 0.7307  C3 1.055
15 H -4.4187 0.9330 -1.5327  C6 1.136

Have is a verb which you might consider rather empty of meaning. Doesn’t it mean simply ‘possess’? Yes, and that is the core sense of Branch I. But even within this, there are variations: ‘I’d like to have a really good job, a nice car, a nice house’ for example, is not quite the same as ‘He had long brown hair’. It also expresses relationship or condition, where the sense of possession is weakened or lost. It covers, for example, the people with whom we have some relationship (‘If we note well what enemies we haue’ (1569)) or the presence, location, or position of something in relation to something else, for example ‘Sitting at his writing table, he has on his right the windows giving on Portland Place’; and this leads on to uses like ‘I know it was Valentine’s Day because they had the lights out for a movie’, ‘He had a reputation to maintain’, ‘It is proper that others should have an opportunity to experiment’.

Branch II, by contrast, is much more active, dealing with coming into possession of things, and includes eating and drinking, bearing children, and seizing a person, among other uses: ‘I had a present from Major Myers of a large jelly cake, iced all over’ (1866); ‘Wi-Fi cards and access points can be had for less than $100 apiece’; ‘Waiter, I’ll have pork chops with fried potatoes’; ‘My wife threw a swingling board at the man who had me by the hand’ (1819).

Branch III is actually more passive than Branch I, in that it deals with experiencing such things as emotions, dreams, illnesses, and particular times and circumstances: ‘One Brother was so elevated..that he boasted of having Visions of Angels attending him’ (1751); ‘The losers—the boozers, I’ve had them up to here’; ‘Toasts were drunk, speeches made, and a generally enjoyable time was had by all’ (1879); ‘It’s bad enough when checkout operators intone, “Have a nice day” in a robotic voice’.

Branch IV, like the preceding Branch, is essentially abstract, but in contrast is again active, covering the action of keeping, holding, or maintaining something, or even carrying something out: ‘Every one has a higher opinion of himself than his station warrants’ (1833); ‘Shut up. I’m wallowing in misery, here. Have a little respect’; ‘Eric is sitting at the kitchen table having his morning rage’; ‘Mr. Hall will not have it that Robin Hood made free with other people’s goods, and his vindication is spirited’ (1841)

The fifth Branch means ‘to cause to be or become’, and can be seen as much more functional or grammatical, and less full of denotational meaning. It covers constructions like those seen in the following examples: ‘The Federalist party had him before the bar of the house and tried to expel him’; ‘This is not the weighing counter. Have it weighed at Counter No. 5’; ‘The by no means so clear as he would have us believe’; ‘An estimated 520,000 households had their landline or broadband services switched without their consent’. It is very much a transitional aspect of the verb, leading to the final Branches, which cover the uses of have as an auxiliary of the perfect (‘you’d have laughed’), uses with the infinitive (‘you’ll have to excuse me’), and had rather, had better, etc., which I don’t propose to discuss here.

Misplaced calculated molecules.
........
Model i:
4
Properties=species:S:1:pos:R:3:lowdin_charge:R:1 method="wB97M-V/def2-TZVPD" e_lumo_ha=0.1332 gap_ev=6.969 charge=-1 homo_ev=-3.3444 multiplicity=1
H 1.5082 1.0302 0.2696 0.04
I -2.9982 -2.2791 0.8733 -0.99
H 0.3871 0.2910 -0.5187 0.05
O 1.1029 0.9579 -0.6242 -0.10

Model ii:
4
Properties=species:S:1:pos:R:3:lowdin_charge:R:1 method="wB97M-V/def2-TZVPD" e_lumo_ha=0.1447 gap_ev=7.473 charge=-1 homo_ev=-3.5367 multiplicity=1
O -2.1421 -0.1515 2.9532 -0.17
H -1.3664 -0.2399 2.3543 -0.14
I 0.0000 0.0000 0.0000 -0.72
H -2.7410 -0.8878 2.6936 0.03

Short version: model ii, model i, most stable first.

Model i:
9
Properties=species:S:1:pos:R:3:lowdin_charge:R:1 method="wB97M-V/def2-TZVPD" e_lumo_ha=-0.0436 gap_ev=9.905 smiles="O=c1cc(F)nno1" homo_ev=-11.0912 multiplicity=1
C 0.0035 0.2367 1.1154 -0.32
N 1.2102 -1.4632 0.1834 0.09
O 0.6967 -1.0866 -1.0475 0.04
C -0.5443 0.6768 -0.0251 0.11
N 0.8761 -0.8362 1.2014 0.11
C -0.1851 -0.0245 -1.2490 -0.46
H -1.2630 1.5146 -0.0989 0.15
O -0.5553 0.1980 -2.3614 0.14
F -0.2389 0.7844 2.2817 0.14

Model ii:
9
Properties=species:S:1:pos:R:3:lowdin_charge:R:1 method="wB97M-V/def2-TZVPD" e_lumo_ha=-0.0443 gap_ev=9.208 homo_ev=-10.4132 multiplicity=1
O -0.9995 0.3997 -0.8706 0.02
C 0.1528 -1.0449 -0.2731 -0.16
H -0.3759 -1.3067 0.7172 0.22
O 1.3109 -0.3758 -0.3800 0.14
C 1.7550 0.6112 0.2979 -0.29
F 0.0933 -1.9681 -1.1211 0.24
C -1.7037 0.8937 0.0246 -0.52
N 2.2158 1.5365 0.7750 0.22
N -2.4486 1.2544 0.8301 0.13

Short version: model i, model ii, most stable first.

Model i:
17
Properties=species:S:1:pos:R:3:lowdin_charge:R:1 method="wB97M-V/def2-TZVPD" e_lumo_ha=0.0366 gap_ev=9.883 smiles=C[C@]1(F)C[C@@H](N)C1 homo_ev=-8.8869 multiplicity=1
H -0.3342 -1.4107 -1.2438 0.10
C 1.2955 -0.5001 -0.1553 -0.33
H -2.7970 0.0931 -1.0602 0.13
C 0.3126 -0.4037 1.1488 -0.02
H 2.2526 -1.2384 -0.4566 0.17
C -2.2812 -0.0249 0.0306 -0.05
C 0.1170 -0.4691 -1.0861 -0.09
H -2.2070 -1.0478 0.5951 0.10
H 3.2833 0.7030 -0.3727 0.13
N 2.2353 0.6627 0.0653 -0.05
H -0.1146 0.2222 -1.8210 0.09
H -0.0510 -1.1797 1.8497 0.10
H -2.8999 0.7178 0.7187 0.10
F -0.5066 1.6363 -0.0911 -0.09
C -0.7603 0.1932 0.0685 -0.44
H 1.8014 1.5850 0.0564 0.04
H 0.6538 0.4610 1.7537 0.10

Model ii:
17
Properties=species:S:1:pos:R:3:lowdin_charge:R:1 method="wB97M-V/def2-TZVPD" e_lumo_ha=0.0358 gap_ev=10.552 homo_ev=-9.5784 multiplicity=1
C -1.7559 -0.6225 -0.4732 -0.20
C -0.5339 0.1633 -0.2077 -0.30
H -1.2826 1.7753 1.0581 0.07
H -1.4682 -1.7205 -0.6509 0.14
H 0.6946 -1.4969 -0.5928 0.14
H 3.8056 -0.2062 0.3049 0.06
F -2.5929 -0.5919 0.6212 -0.04
H 0.2470 2.2065 0.2275 0.09
H 2.4803 0.3032 -1.3075 0.12
C -0.7277 1.6176 0.1495 -0.04
C 0.6387 -0.3611 -0.3685 -0.11
H -1.2529 2.1475 -0.6463 0.08
H 1.8839 1.2529 -0.0015 0.08
H -2.3007 -0.2372 -1.3668 0.13
C 1.9644 0.2398 -0.3429 -0.26
H 2.7898 -0.5117 1.4794 0.06
N 2.8894 -0.6298 0.4802 -0.01

Short version: model ii, model i, most stable first.

Model i:
9
........

Have is therefore a very bushy tree, with several main branches, each of which has a thicket of subsidiary ones. Look is much simpler, but it embodies a rather striking change of meaning. It starts from  ‘to direct one’s sight’ (Branch I), which can of course involve applying the mind, being careful, searching, and expecting, among other not inconsiderable variations: ‘They open the book and they look if your name’s on it’; ‘The situation, whichever way he looked at it, was uncomfortable’; ‘Two lovers looking to be wed’; ‘ Look, if we’re going to be honest with ourselves, we need to admit that we wanted it all’.

It takes a 180-degree turn at Branch II. The object looked at or contemplated becomes the subject, and the consideration is now what effect it has on the observer, or at least what the observer thinks is the state of the object: ‘Things had, by that time, begun to look badly for all concerned’ (1891); ‘I see that some of my hearers look surprised at the expression’; ‘She looked her full forty-three years’. Branch III is a quite separate offshoot of Branch I. Here the switch is from an agent that is facing in a direction and seeing, to one that is just facing a certain way (without vision): ‘A window in one wall which looks on to a small office’.

Some words that have been borrowed into English from French or Latin have main Branches of sense which are not really organic developments made by native speakers at all. Rather, they reflect major meanings that evolved in the word in its language of origin, which were then taken over into English, in some cases all at the same time and in others at different times, given that English has remained in close contact with Latin and French for long periods of time. An example from the current release is the adjective large, whose familiar major meaning ‘great in size, amount, or degree’ is flanked by two other Branches. Very slightly earlier (they both date from early Middle English) is a meaning ‘(of a person) generous’, which has long been obsolete in standard English. And a little later (late Middle English) is a Branch covering ‘not rigorous or restricted; free; lax’, none of whose senses are much used now: ‘Using the plausibility of large and indefinite words, to defend himself’ (Milton, 1649); ‘Our people in this Colony are, some strict Congregationall men, others more large Congregationall men, and some moderate Presbeterians’ (1680); ‘to make acquaintance with sailors of large morality’ (1866).

-- Calculated molecules from another source follow --
-- begin --
A structure of composition C18H47NO4Si2Tb, computed with wB97M-V/def2-TZVPD.

Last column: Löwdin spin population.
CARTESIAN COORDINATES (ANGSTROEM)
O 1.68 0.03 0.10  -0.017
O 0.19 -1.53 -2.28  0.001
C 2.39 0.97 -0.80  -0.002
C 3.42 1.79 -0.06  0.000
H 1.61 1.59 -1.26  -0.001
H 2.84 0.38 -1.60  0.000
H 3.02 2.29 0.84  0.000
H 3.77 2.56 -0.76  0.000
H 4.28 1.16 0.22  0.000
C 2.32 -1.27 0.40  -0.001
C 3.27 -1.73 -0.67  0.000
H 1.50 -1.98 0.53  0.000
H 2.82 -1.13 1.38  0.000
H 2.70 -1.99 -1.57  0.000
H 3.76 -2.65 -0.32  0.000
H 4.05 -1.00 -0.89  0.000
C -0.51 -2.86 -1.75  0.000
C 0.15 -1.23 -3.83  0.000
C 0.46 -4.00 -1.80  0.000
H -1.39 -2.97 -2.41  0.000
H -0.79 -2.61 -0.72  0.000
H 0.77 -4.26 -2.82  0.000
H -0.04 -4.87 -1.38  0.000
H 1.36 -3.84 -1.18  0.000
C 0.78 -2.35 -4.61  0.000
H 0.73 -0.30 -3.91  0.000
H -0.92 -1.07 -4.06  0.000
H 1.85 -2.49 -4.38  0.000
H 0.73 -2.08 -5.67  0.000
H 0.25 -3.30 -4.51  0.000
H -0.34 -0.77 -1.89  0.001
Tb -0.12 0.93 1.05  6.115
C -0.78 1.30 -1.43  -0.021
Si -2.54 1.75 -1.96  -0.001
H -0.21 2.26 -1.41  0.000
H -0.33 0.75 -2.28  0.000
C -2.35 2.46 -3.70  0.000
C -3.25 3.10 -0.85  0.000
C -3.65 0.24 -1.94  0.000
C 1.46 1.13 2.86  -0.022
Si 0.99 -0.42 3.78  -0.002
H 1.43 1.96 3.59  0.000
H 2.53 1.05 2.60  0.000
C 2.47 -1.53 4.04  0.000
C -0.23 -1.51 2.83  -0.009
C 0.20 -0.02 5.43  0.000
H -3.05 -0.67 -2.09  0.000
H -4.40 0.28 -2.74  0.000
H -4.16 0.14 -0.97  0.000
H -1.63 3.30 -3.68  0.000
H -3.29 2.83 -4.12  0.000
H -1.93 1.70 -4.37  0.000
H -2.43 3.66 -0.38  0.000
H -3.93 2.74 -0.06  0.000
H -3.82 3.81 -1.48  0.000
H 0.30 -2.30 2.28  0.000
H -1.00 -1.07 2.17  -0.005
H -0.81 -2.01 3.63  -0.001
H 0.36 -0.84 6.14  0.000
H -0.89 0.14 5.33  0.000
H 0.65 0.89 5.84  0.000
H 2.29 -2.18 4.91  0.000
H 3.36 -0.93 4.23  0.000
H 2.66 -2.17 3.17  0.000
N -1.11 2.80 2.24  -0.017
C -2.52 2.57 2.62  0.000
C -3.11 1.28 2.02  0.000
O -4.32 1.15 2.07  0.000
O -2.25 0.46 1.43  -0.018
H -0.48 2.86 3.06  0.001
H -1.01 3.73 1.80  0.000
H -2.63 2.53 3.71  0.000
H -3.14 3.39 2.25  0.000

Results
Expectation value of S²: 12.711
HOMO level (spin up / spin down) in hartree: -0.3793 / -0.3781
Relative energy (zero: lowest compared OMol25 entry of this formula, charge and spin) in kJ/mol: 0.0
Charge: +1
Energy in Eh: -2472.9506
2S+1: 7

***

A cluster of 2 separate species, CH2BrFO in total, computed with wB97M-V/def2-TZVPD.

Last column: natural (NBO) charge in e.
CARTESIAN COORDINATES (ANGSTROEM)
C -0.92 -0.20 0.16  0.386
O 0.99 0.97 -0.39  -0.834
F -0.53 -1.34 -0.33  -0.260
Br 2.45 0.14 -0.04  0.309
H -0.54 0.07 1.14  0.214
H -1.45 0.36 -0.55  0.184

Results
HOMO level (spin up / spin down) in hartree: -0.3179 / -0.3179
Relative energy (zero: lowest compared OMol25 entry of this formula, charge and spin) in kJ/mol: 480.5
Energy in Eh: -2788.2378

***

A cluster of 2 separate species, C2H3BrN4 in total, computed with wB97M-V/def2-TZVPD.

Last column: natural (NBO) charge in e.
CARTESIAN COORDINATES (ANGSTROEM)
C -0.74 1.47 -0.34  0.617
-- stop --
-- End of the calculated molecules --

Adjectives are prone to subtle but nonetheless definite branching. Late is particularly interesting in this respect. As a very common word, its subtleties are rarely noticed in use. Its earliest Branch, going back to old English, has to do with delay—things happening after they are expected to. (In fact the first sense, long obsolete in standard English, is ‘slow’.) It includes the central meaning seen in ‘The cab is at the door; don’t be late for the train’; ‘Maybe they’d left it too late’, and such phenomena as ‘a late spring’ and ‘crocuses are late this year’.

The second Branch, dating from the fourteenth century, is to do with advanced time. In these senses, the idea that the event should have occurred at a prior time is only in the background, and the primary sense is just that the event is happening towards the end of a period rather than the beginning or middle. It covers such uses as: ‘Most of the guys fancied a late drink and headed off into the night to the Irish Centre’; ‘“Isn’t it getting late?’ ‘Is it? I don’t know—I’m a late person.”’; ‘A young boy and a girl in their late teens’; ‘Ray Harford’s side lost to a late goal to..Nottingham Forest’.

The third Branch features a major shift in viewpoint. In the first Branch the speaker is looking forward to something that is delayed; in the second they are looking at a range of times from a more or less neutral position; here they are looking back, and the meaning relates to recent time. The major senses here are as in: ‘The place belonged to her late husband, Sir James’ and ‘The late war in Afghanistan and the pending war with Iraq will do little to defeat terrorism’. The contrast between Branches I and III only strikes you when you encounter this usage, specific to southern Africa: ‘My father was John Piliso and my mother’s name was Emily. Both are late’—a usage which has often given rise to misunderstandings, as in the following exchange. First speaker: ‘My uncle won’t be coming as he is late’. Second speaker: ‘That’s OK, latecomers are welcome’.